-- Input --
┌──
Record 1
A structure of composition C3H3N3O. Source: the Open Molecules 2025 dataset; level of theory: ωB97M-V/def2-TZVPD.

Energy relative to the best compared isomer or geometry (same formula, charge and spin): 460.53 kJ/mol
Max |F|: 0.0192 hartree/bohr
HOMO level: -10.022 eV
Calculated total energy: -355.46448 hartree
M: 97.08 Da
HOMO-LUMO gap: 9.3 eV

Last column: natural (NBO) charge in e.
CARTESIAN COORDINATES (ANGSTROEM)
N  -1.671  -1.246  0.227  -0.631
C  -0.480  -1.016  0.063  0.551
N  0.781  -1.390  -0.170  -0.239
N  1.108  -0.453  -1.037  -0.075
O  0.998  0.773  1.667  -0.495
C  0.540  1.275  0.675  0.393
C  0.331  0.605  -0.666  -0.249
H  -1.953  -2.209  0.067  0.392
H  0.270  2.344  0.636  0.137
H  0.076  1.317  -1.462  0.215

***

Record 2
A structure of composition C10H21InNO5S. Source: the Open Molecules 2025 dataset; level of theory: ωB97M-V/def2-TZVPD.

Max |F|: 0.0181 hartree/bohr
HOMO level: -4.379 eV
Charge: -1
Calculated total energy: -1412.82838 hartree
M: 382.16 Da
HOMO-LUMO gap: 6.8 eV

Last column: Löwdin charge in e.
CARTESIAN COORDINATES (ANGSTROEM)
C  -1.896  -3.013  0.580  -0.170
C  -0.883  -2.142  0.644  -0.254
In  -0.767  -0.405  -0.727  0.791
C  0.356  1.275  0.230  -0.270
C  1.786  0.919  0.690  -0.311
C  1.968  1.247  2.175  -0.265
S  3.653  1.638  2.564  0.586
O  4.558  0.709  1.964  -0.278
O  3.874  3.028  2.295  -0.293
O  3.706  1.454  4.161  -0.170
C  -2.862  0.346  -1.091  -0.236
C  -2.943  1.877  -1.136  -0.279
O  -3.684  2.473  -0.037  -0.063
C  -3.049  2.399  1.142  -0.388
O  -3.274  1.585  1.983  0.098
N  0.039  -0.977  -2.615  -0.194
C  0.348  -2.401  -2.766  -0.433
C  1.845  -2.677  -2.531  -0.119
H  -1.838  -4.001  1.037  0.023
H  -2.827  -2.760  0.081  0.021
H  -0.099  -2.345  1.376  -0.004
H  -0.244  1.577  1.092  0.012
H  0.364  2.124  -0.454  0.026
H  2.500  1.503  0.108  0.105
H  2.034  -0.128  0.530  0.091
H  1.378  2.108  2.483  0.105
H  1.645  0.388  2.767  0.111
H  2.836  1.177  4.474  0.076
H  -3.182  -0.029  -2.062  0.021
H  -3.513  -0.006  -0.294  0.033
H  -3.473  2.193  -2.034  0.104
H  -1.953  2.338  -1.190  0.084
H  -2.321  3.201  1.336  0.141
H  -0.616  -0.723  -3.343  -0.011
H  -0.256  -3.072  -2.143  0.065
H  0.131  -2.687  -3.802  0.085
H  2.290  -1.788  -2.088  0.053
H  2.015  -3.558  -1.913  0.054
H  2.354  -2.849  -3.481  0.051

***

Record 3
A structure of composition C71H61N2O4P3RuS2Si in a non-equilibrium geometry. Source: the Open Molecules 2025 dataset; level of theory: ωB97M-V/def2-TZVPD.

Max |F|: 0.0231 hartree/bohr
HOMO level (spin up / spin down): -8.942 / -10.304 eV
Charge: +1
Calculated total energy: -5357.22072 hartree
M: 1292.49 Da
Multiplicity: 6
HOMO-LUMO gap (spin up / spin down): 6.7 / 6.5 eV

Last column: Löwdin charge in e.
CARTESIAN COORDINATES (ANGSTROEM)
Ru  -0.065  -0.330  0.091  0.887
C  -5.849  2.264  -1.878  -0.069
C  -5.638  2.514  -0.527  -0.062
C  -4.424  2.199  0.058  -0.110
C  -3.394  1.629  -0.697  -0.354
C  -3.625  1.369  -2.041  -0.100
C  -4.842  1.687  -2.632  -0.061
P  -1.802  1.344  0.222  1.051
C  -2.708  0.277  1.492  -0.330
C  -3.416  -0.741  0.834  -0.150
C  -4.216  -1.629  1.531  -0.088
C  -4.318  -1.531  2.913  -0.071
C  -3.593  -0.555  3.579  -0.064
C  -2.786  0.338  2.881  -0.067
C  -1.125  3.047  -0.068  -0.369
C  -1.910  4.196  -0.108  -0.062
C  -1.315  5.444  -0.226  -0.061
C  0.065  5.557  -0.321  -0.063
C  0.845  4.408  -0.316  -0.085
C  0.263  3.146  -0.181  -0.318
Si  1.289  1.577  -0.400  0.606
C  2.796  1.226  0.667  -0.300
C  3.550  2.197  1.329  -0.094
C  4.702  1.850  2.016  -0.054
C  5.147  0.535  2.016  -0.048
C  4.423  -0.442  1.352  -0.074
C  3.231  -0.109  0.717  -0.378
P  2.181  -1.376  -0.078  1.063
C  2.222  -2.865  0.990  -0.314
C  1.845  -4.115  0.487  -0.128
C  1.751  -5.219  1.320  -0.075
C  2.015  -5.092  2.677  -0.060
C  2.382  -3.856  3.187  -0.051
C  2.489  -2.752  2.353  -0.087
C  3.199  -1.821  -1.555  -0.304
C  3.615  -3.106  -1.906  -0.081
C  4.368  -3.315  -3.055  -0.073
└──

-- Wanted --
Repeat the material further above word for word.

-- Here it is --
Record 1
A structure of composition C3H3N3O. Source: the Open Molecules 2025 dataset; level of theory: ωB97M-V/def2-TZVPD.

Energy relative to the best compared isomer or geometry (same formula, charge and spin): 460.53 kJ/mol
Max |F|: 0.0192 hartree/bohr
HOMO level: -10.022 eV
Calculated total energy: -355.46448 hartree
M: 97.08 Da
HOMO-LUMO gap: 9.3 eV

Last column: natural (NBO) charge in e.
CARTESIAN COORDINATES (ANGSTROEM)
N  -1.671  -1.246  0.227  -0.631
C  -0.480  -1.016  0.063  0.551
N  0.781  -1.390  -0.170  -0.239
N  1.108  -0.453  -1.037  -0.075
O  0.998  0.773  1.667  -0.495
C  0.540  1.275  0.675  0.393
C  0.331  0.605  -0.666  -0.249
H  -1.953  -2.209  0.067  0.392
H  0.270  2.344  0.636  0.137
H  0.076  1.317  -1.462  0.215

***

Record 2
A structure of composition C10H21InNO5S. Source: the Open Molecules 2025 dataset; level of theory: ωB97M-V/def2-TZVPD.

Max |F|: 0.0181 hartree/bohr
HOMO level: -4.379 eV
Charge: -1
Calculated total energy: -1412.82838 hartree
M: 382.16 Da
HOMO-LUMO gap: 6.8 eV

Last column: Löwdin charge in e.
CARTESIAN COORDINATES (ANGSTROEM)
C  -1.896  -3.013  0.580  -0.170
C  -0.883  -2.142  0.644  -0.254
In  -0.767  -0.405  -0.727  0.791
C  0.356  1.275  0.230  -0.270
C  1.786  0.919  0.690  -0.311
C  1.968  1.247  2.175  -0.265
S  3.653  1.638  2.564  0.586
O  4.558  0.709  1.964  -0.278
O  3.874  3.028  2.295  -0.293
O  3.706  1.454  4.161  -0.170
C  -2.862  0.346  -1.091  -0.236
C  -2.943  1.877  -1.136  -0.279
O  -3.684  2.473  -0.037  -0.063
C  -3.049  2.399  1.142  -0.388
O  -3.274  1.585  1.983  0.098
N  0.039  -0.977  -2.615  -0.194
C  0.348  -2.401  -2.766  -0.433
C  1.845  -2.677  -2.531  -0.119
H  -1.838  -4.001  1.037  0.023
H  -2.827  -2.760  0.081  0.021
H  -0.099  -2.345  1.376  -0.004
H  -0.244  1.577  1.092  0.012
H  0.364  2.124  -0.454  0.026
H  2.500  1.503  0.108  0.105
H  2.034  -0.128  0.530  0.091
H  1.378  2.108  2.483  0.105
H  1.645  0.388  2.767  0.111
H  2.836  1.177  4.474  0.076
H  -3.182  -0.029  -2.062  0.021
H  -3.513  -0.006  -0.294  0.033
H  -3.473  2.193  -2.034  0.104
H  -1.953  2.338  -1.190  0.084
H  -2.321  3.201  1.336  0.141
H  -0.616  -0.723  -3.343  -0.011
H  -0.256  -3.072  -2.143  0.065
H  0.131  -2.687  -3.802  0.085
H  2.290  -1.788  -2.088  0.053
H  2.015  -3.558  -1.913  0.054
H  2.354  -2.849  -3.481  0.051

***

Record 3
A structure of composition C71H61N2O4P3RuS2Si in a non-equilibrium geometry. Source: the Open Molecules 2025 dataset; level of theory: ωB97M-V/def2-TZVPD.

Max |F|: 0.0231 hartree/bohr
HOMO level (spin up / spin down): -8.942 / -10.304 eV
Charge: +1
Calculated total energy: -5357.22072 hartree
M: 1292.49 Da
Multiplicity: 6
HOMO-LUMO gap (spin up / spin down): 6.7 / 6.5 eV

Last column: Löwdin charge in e.
CARTESIAN COORDINATES (ANGSTROEM)
Ru  -0.065  -0.330  0.091  0.887
C  -5.849  2.264  -1.878  -0.069
C  -5.638  2.514  -0.527  -0.062
C  -4.424  2.199  0.058  -0.110
C  -3.394  1.629  -0.697  -0.354
C  -3.625  1.369  -2.041  -0.100
C  -4.842  1.687  -2.632  -0.061
P  -1.802  1.344  0.222  1.051
C  -2.708  0.277  1.492  -0.330
C  -3.416  -0.741  0.834  -0.150
C  -4.216  -1.629  1.531  -0.088
C  -4.318  -1.531  2.913  -0.071
C  -3.593  -0.555  3.579  -0.064
C  -2.786  0.338  2.881  -0.067
C  -1.125  3.047  -0.068  -0.369
C  -1.910  4.196  -0.108  -0.062
C  -1.315  5.444  -0.226  -0.061
C  0.065  5.557  -0.321  -0.063
C  0.845  4.408  -0.316  -0.085
C  0.263  3.146  -0.181  -0.318
Si  1.289  1.577  -0.400  0.606
C  2.796  1.226  0.667  -0.300
C  3.550  2.197  1.329  -0.094
C  4.702  1.850  2.016  -0.054
C  5.147  0.535  2.016  -0.048
C  4.423  -0.442  1.352  -0.074
C  3.231  -0.109  0.717  -0.378
P  2.181  -1.376  -0.078  1.063
C  2.222  -2.865  0.990  -0.314
C  1.845  -4.115  0.487  -0.128
C  1.751  -5.219  1.320  -0.075
C  2.015  -5.092  2.677  -0.060
C  2.382  -3.856  3.187  -0.051
C  2.489  -2.752  2.353  -0.087
C  3.199  -1.821  -1.555  -0.304
C  3.615  -3.106  -1.906  -0.081
C  4.368  -3.315  -3.055  -0.073